
Thursday, December 10, 2009

New Technologies in Structural Health Monitoring

Structural Health Monitoring is a relatively new science, but it's actually pretty cool.

In times past, complex parts for machines would be replaced according to a best guess, based on statistics. It's kind of like, "Your car has 75,000 miles on it, you should replace the shocks." Your shocks may be perfectly good, or they may have been shot at 50,000 miles.

Now, it's possible through structural health monitoring to place sensors of various types to actually measure when a part is going to fail, then replace it just before it does. This saves a lot of money, since only "bad" parts are replaced. This is why the Ben Franklin Center of Excellence has teamed up with Penn State to fund new projects.

Saturday, November 14, 2009

Proper Commercial Aprons

Finally, our store has got proper commercial aprons at a reasonable price. Made for the military, these aprons will last a long, long time.

Tuesday, November 03, 2009

New Catering Services for Barbecue

Red Todd has finally got a web site, and he's got catering on his mind. If you like barbecue like I do, you're probably tired of getting boiled and grilled ribs and "faux Q" when you dine out.

Red makes the real thing, and his prices are quite reasonable. Here's his BBQ catering menu online, as well as his event schedule for event vending.

If you like making your own BBQ, and you need some new marinades, The Ingredient Store has the choice of champions.

Thursday, October 08, 2009

A new way to stimulate the economy?

A movement is now forming to create a new way to stimulate the economy by forgiving student loan debt. This resonates with me in a big way, since I owe my soul to my current employer, who just happens to be the university I spent $65,000 on. I tried starting my own little student loan reimbursement drive, to no avail. Unlike my attempt, though, I think this new group has a large enough following to make a difference. So far, more than 230,000 people have joined their FaceBook group, and it's starting to get some media play.

Forgiving student loans only makes sense. After all, a 19th and early 20th century worker got educated through the cooperative building and staffing of schools we now consider to be primary and secondary. Universities were only for the elite--the leaders of men and nations. Enter WWII and the GI Bill. Now everybody who's anybody can go to college, and they did. Universities turned into trade schools, and now a living wage is nigh on impossible in many industries without a college degree. So, in the 21st century, why shouldn't that debt load be shared like k-12? By forgiving student loans, a whole class of educated, hard-working people will have a tremendous burden lifted from their credit ratings and monthly cash flow. That's certainly got to stimulate the economy. After all, I majored in Economics for a few semesters :-)

Saturday, September 12, 2009

Girl with Black Bird

Here is a nice piece of art my wife painted. I thought I'd just throw it out there in case anybody would want to have a copy.

It's a nice painting, but a bit dark for my tastes! If you're depressed and feeling black and orange, it's probably perfect for you.

Wednesday, September 09, 2009

Penn State art

Here's a new gallery with Penn State art and photos.

I particularly like this one of Old Main. It looks like it's a watercolor of the building at dusk.

The same artist has shots of Mount Nittany available, as well as a number of pictures from Gettysburg.

Knife Sharpening Service

I wrote to J.A. Henckels, wondering how to get my knife sharpened. They suggested that I either look in the yellow pages or ship it to Virginia.

I thought it was weird that the factory wouldn't sharpen their own knives, but I thought I'd share the link.

Again, this is the knife sharpener recommended by the Henckels rep, so I guess their good. I'm going to send in my knife and see how they do...then report back!

New Blog

I stumbled across a new blog today, Funny You Should Mention it! is a collection of videos, snippets, and basically a humorous clipping service.

A fascination with bacon abounds, but everything is a little quirky and fun.

Tuesday, July 14, 2009

New Businesses in State College

There have been a lot of new businesses popping up in State College the last few months.

Rumor has it, there is a Walgreen's coming up on North Atherton St., and I just heard of a new State College therapeutic massage therapist, who happens to be a friend of mine.

Meanwhile, places to enjoy a good cigar are waning. Oh well.

Thursday, June 25, 2009

New Facebook Page

I've made a FaceBook page for my Penn State Photos. Please check it out and become a fan of William Ames Photography!

For the last ten five years or so, I've been taking multiple shots of panoramic scenes in the hopes of being able to stitch them together someday. Well, it's someday. PhotoShop's new stitch tool is ready for prime time, and I've made some really nice panoramic landscapes.

Wednesday, May 06, 2009

Amateur Radio

Well, I've finally gone and gotten my ham radio license again.

I had let my old novice license from 1980 expire, but recently, I've thought it would be nice to have again, so I tested, passed, and am now KB3SUY. I have applied to get my old call sign back, so I hope to have KA3EDZ in a couple of weeks.

Tuesday, April 21, 2009

Give to Penn State

So I'm looking through my mail today, and I get this letter from "Jenny Georges". It seems she wants me to Give to Penn State. I've already given more than $60 grand to Penn State, and I figure it's time they give some back to me, so I asked their web master for a link back to Give to Bill, my new web site. We'll see.

Star Trek

So the new Star Trek movie is getting rave reviews.


I'm sure to see it on opening day, and I just hope it hasn't dumbed down too far for today's viewers.

More Penn State Pics

I keep finding more Penn State pics.

These are pictures of Old Main with daffodils, and some of just Old Main in the spring.

The one up top shows the actual quarry where the stone was hauled up to make the first Old Main.

Friday, April 17, 2009

We Surround Them Centre County - the 9-12 Project

I recently stumbled upon State College's Glen Beck inspired group called We Surround Them State College. It's a group of folks frustrated by higher taxes and the way the nation has strayed from the constitution. Check it out!

Here the page breaks off for crystal structures >
/*
No. 1
Simulated powder diffraction line list of KS14Br for Cu Ka, from DFT lattice parameters and positions (GGA-PBE).
Lines closer than 0.1° are merged.

a = 12.334 Å, b = 12.334 Å, c = 12.334 Å
α = 119.36°, β = 83.60°, γ = 128.40°
Fractional coordinates of all 32 atoms:
K 0.500 0.000 0.000
K 0.500 0.500 0.500
S 0.058 0.749 0.309
S 0.060 0.251 0.809
S 0.087 0.921 0.165
S 0.130 0.460 0.258
S 0.130 0.872 0.670
S 0.222 0.528 0.431
S 0.222 0.792 0.694
S 0.256 0.921 0.335
S 0.286 0.223 0.063
S 0.298 0.128 0.758
S 0.298 0.540 0.170
S 0.340 0.777 0.563
S 0.402 0.208 0.931
S 0.402 0.472 0.194
S 0.598 0.528 0.806
S 0.598 0.792 0.069
S 0.660 0.223 0.437
S 0.702 0.460 0.830
S 0.702 0.872 0.242
S 0.714 0.777 0.937
S 0.744 0.079 0.665
S 0.778 0.208 0.306
S 0.778 0.472 0.569
S 0.870 0.128 0.330
S 0.870 0.540 0.742
S 0.913 0.079 0.835
S 0.940 0.749 0.191
S 0.942 0.251 0.691
Br 0.386 0.636 0.750
Br 0.614 0.364 0.250

Most intense lines, 5 to 70 degrees two-theta, by angle:
| Position (°2θ) | d [Å] | I/Imax |
| --- | --- | --- |
| 9.58 | 9.234 | 44.2 |
| 16.51 | 5.368 | 100.0 |
| 17.20 | 5.156 | 89.2 |
| 18.64 | 4.761 | 81.4 |
| 19.31 | 4.597 | 27.6 |
| 21.97 | 4.046 | 42.9 |
| 25.58 | 3.482 | 51.0 |
| 29.40 | 3.038 | 54.0 |
| 32.34 | 2.768 | 27.2 |
| 34.50 | 2.600 | 50.8 |

=====

No. 2
Simulated powder diffraction line list of K6SBr4 for Cu Ka, from DFT lattice parameters and positions (GGA-PBE).
Lines closer than 0.1° are merged.

a = 9.488 Å, b = 9.488 Å, c = 9.488 Å
α = 90.55°, β = 90.55°, γ = 90.55°
Fractional coordinates of all 22 atoms:
K 0.051 0.930 0.700
K 0.070 0.300 0.949
K 0.200 0.430 0.551
K 0.300 0.949 0.070
K 0.430 0.551 0.200
K 0.449 0.800 0.570
K 0.551 0.200 0.430
K 0.570 0.449 0.800
K 0.700 0.051 0.930
K 0.800 0.570 0.449
K 0.930 0.700 0.051
K 0.949 0.070 0.300
S 0.000 0.000 0.000
S 0.500 0.500 0.500
Br 0.105 0.750 0.395
Br 0.250 0.250 0.250
Br 0.250 0.605 0.895
Br 0.395 0.105 0.750
Br 0.605 0.895 0.250
Br 0.750 0.395 0.105
Br 0.750 0.750 0.750
Br 0.895 0.250 0.605

Most intense lines, 5 to 70 degrees two-theta, by angle:
| Position (°2θ) | d [Å] | I/Imax |
| --- | --- | --- |
| 21.02 | 4.226 | 42.6 |
| 22.87 | 3.888 | 83.2 |
| 28.10 | 3.176 | 27.6 |
| 29.87 | 2.991 | 44.2 |
| 31.24 | 2.863 | 100.0 |
| 33.02 | 2.713 | 22.3 |
| 39.06 | 2.306 | 21.3 |
| 40.14 | 2.247 | 21.2 |
| 40.54 | 2.225 | 21.2 |
| 46.68 | 1.946 | 23.1 |

=====

No. 3
Simulated powder diffraction line list of K2SBr5 for Cu Ka, from DFT lattice parameters and positions (GGA-PBE).
Lines closer than 0.1° are merged.

a = 7.269 Å, b = 7.269 Å, c = 7.269 Å
α = 115.98°, β = 115.98°, γ = 97.11°
Fractional coordinates of all 8 atoms:
K 0.000 0.500 0.500
K 0.500 0.000 0.500
S 0.254 0.254 0.000
Br 0.012 0.012 0.540
Br 0.012 0.472 0.000
Br 0.472 0.012 0.000
Br 0.472 0.472 0.460
Br 0.542 0.542 0.000

Most intense lines, 5 to 70 degrees two-theta, by angle:
| Position (°2θ) | d [Å] | I/Imax |
| --- | --- | --- |
| 14.73 | 6.015 | 26.8 |
| 18.44 | 4.811 | 20.8 |
| 29.71 | 3.007 | 100.0 |
*/

Monday, April 13, 2009

Graduation at Penn State

Nittany Mountain
I thought that with spring approaching, and the imminent Penn State Graduation in May, I thought I'd post a few pictures of my favorite Penn State gift ideas, like the nittany lion and Old Main in the summer.

Of course, before you graduate, you have to climb mount nittany.

Nittany Lion

Friday, April 10, 2009

Grammar Blog

I was looking at site rankings a while ago, and found that my grammar blog got knocked off the radar, possibly because I had some paid advertising on there. How's a guy to make a buck? Anyway, at least my freelance editing is still going strong.

That reminds me...I'm amazed at how many people find my site, even though it's spelled "grammer cop".

Wednesday, April 08, 2009

Retroactive Penn State Scholarship

I had an idea the other day. There are all kinds of scholarships for students, but why aren't there any for people after they graduate? For example, I paid my way through school with a tremendous amount of student loan debt. I also worked 20-35 hours a week. Now I have over $60,000 in student loan debt that I'll never be able to repay, especially since I work for Penn State, and they don't seem to value their own education or degrees.

So, I decided to start a new site devoted to paying down my student loan burden through donations. After all, millions of dollars are given to students who may or may not succeed. With me, you get a proven history of helping the university, and you know the money's not wasted!

My page is for the Penn State retroactive scholarship, and it's purpose is to get rid of my student loans so I can finally start a family. Is that too much to ask from somebody who's been fortunate in life? They could spend their money on worse things.

Tuesday, April 07, 2009

Hiking Nittany Mountain

Spring is the best time for hiking the mountain, if you ask me. Climbing Nittany Mountain is strenuous if you're not used to it, but if you take your time and bring some water, it's a great way to spend a day.

If you want to find more hiking near Penn State, try